Set down the material underneath word for word.

Y2PuPaC4 | PBE | relaxed

The space group is P2/m (No. 10) and the conventional cell measures 6.1463, 3.6139 and 6.2201 Å, with angles of 90.00, 109.31 and 90.00 degrees. Symmetry generates all atoms from Y at (0.0000, 0.0000, 0.0000), Y at (0.0000, 0.5000, 0.5000), Pu at (0.5000, 0.0000, 0.5000), Pa at (0.5000, 0.5000, 0.0000), C at (0.2766, 0.5000, 0.2608) and C at (0.2779, 0.0000, 0.7511).

For the energy of formation from the pure elements, the calculation gives -217 meV/atom. The value obtained for the calculated density is 8.93 g/cm³. The value obtained for the total energy is -75.39 eV for the cell shown. The calculation puts the density of states at the Fermi level at 8.3 states/eV/f.u.

Y2PuPaC4 | PBE | relaxed

The space group is P2/m (No. 10) and the conventional cell measures 6.1463, 3.6139 and 6.2201 Å, with angles of 90.00, 109.31 and 90.00 degrees. Symmetry generates all atoms from Y at (0.0000, 0.0000, 0.0000), Y at (0.0000, 0.5000, 0.5000), Pu at (0.5000, 0.0000, 0.5000), Pa at (0.5000, 0.5000, 0.0000), C at (0.2766, 0.5000, 0.2608) and C at (0.2779, 0.0000, 0.7511).

For the energy of formation from the pure elements, the calculation gives -217 meV/atom. The value obtained for the calculated density is 8.93 g/cm³. The value obtained for the total energy is -75.39 eV for the cell shown. The calculation puts the density of states at the Fermi level at 8.3 states/eV/f.u.